Wanted =
What is needed: set down the calculation results below unchanged.

Entries =
........
[1]
Diffraction record for SnH7Cl3O4. The X-ray diffraction stick pattern is simulated, not measured: it uses a cell relaxed with PBE and Cu Kα (weighted mean of Kα1 and Kα2).
Kinematic intensities with the Lorentz-polarization factor, no thermal factor.

Atomic structure:
Unit cell a=10.0918 b=6.4488 c=15.6200 alpha=90.00 beta=125.81 gamma=90.00
Positions (direct):
1 Sn 0.1709 0.0375 0.0044
2 Sn 0.1709 0.4625 0.5044
3 Sn 0.8291 0.5375 0.4956
4 Sn 0.8291 0.9625 0.9956
5 H 0.0977 0.7044 0.0866
6 H 0.0977 0.7956 0.5866
7 H 0.1184 0.0023 0.7099
8 H 0.1184 0.4977 0.2099
9 H 0.2518 0.2046 0.6745
10 H 0.2518 0.2954 0.1745
11 H 0.2745 0.6235 0.2445
12 H 0.2745 0.8765 0.7445
13 H 0.2998 0.5918 0.8426
14 H 0.2998 0.9082 0.3426
15 H 0.3169 0.0594 0.2215
16 H 0.3169 0.4406 0.7215
17 H 0.4756 0.6336 0.8740
18 H 0.4756 0.8664 0.3740
19 H 0.5244 0.1336 0.6260
20 H 0.5244 0.3664 0.1260
21 H 0.6831 0.5594 0.2785
22 H 0.6831 0.9406 0.7785
23 H 0.7002 0.0918 0.6574
24 H 0.7002 0.4082 0.1574
25 H 0.7255 0.1235 0.2555
26 H 0.7255 0.3765 0.7555
27 H 0.7482 0.7046 0.8255
28 H 0.7482 0.7954 0.3255
29 H 0.8816 0.5023 0.7901
30 H 0.8816 0.9977 0.2901
31 H 0.9023 0.2044 0.4134
32 H 0.9023 0.2956 0.9134
33 Cl 0.0382 0.5895 0.3249
34 Cl 0.0382 0.9105 0.8249
35 Cl 0.2646 0.1428 0.4739
36 Cl 0.2646 0.3572 0.9739
37 Cl 0.4150 0.6584 0.5792
38 Cl 0.4150 0.8416 0.0792
39 Cl 0.5850 0.1584 0.9208
40 Cl 0.5850 0.3416 0.4208
41 Cl 0.7354 0.6428 0.0261
42 Cl 0.7354 0.8572 0.5261
43 Cl 0.9618 0.0895 0.1751
44 Cl 0.9618 0.4105 0.6751
45 O 0.0437 0.6844 0.5312
46 O 0.0437 0.8156 0.0312
47 O 0.1911 0.5277 0.1888
48 O 0.1911 0.9723 0.6888
49 O 0.2909 0.1597 0.1644
50 O 0.2909 0.3403 0.6644
51 O 0.3596 0.6271 0.8129
52 O 0.3596 0.8729 0.3129
53 O 0.6404 0.1271 0.6871
54 O 0.6404 0.3729 0.1871
55 O 0.7091 0.6597 0.3356
56 O 0.7091 0.8403 0.8356
57 O 0.8089 0.0277 0.3112
58 O 0.8089 0.4723 0.8112
59 O 0.9563 0.1844 0.9688
60 O 0.9563 0.3156 0.4688

Top 10 peaks for 2θ from 10° to 90°, in order of rising 2θ:
| 2theta | Rel. int. |
| --- | --- |
| 10.81 | 30 |
| 11.63 | 22 |
| 13.98 | 68 |
| 15.42 | 100 |
| 16.33 | 28 |
| 17.63 | 18 |
| 23.41 | 21 |
| 25.21 | 18 |
| 30.03 | 29 |
| 34.07 | 21 |

[2]
Diffraction record for SrSn2H10Cl6O5. The X-ray diffraction stick pattern is simulated, not measured: it uses a cell relaxed with PBE and Cu Kα (weighted mean of Kα1 and Kα2).
Kinematic intensities with the Lorentz-polarization factor, no thermal factor.

Atomic structure:
Unit cell a=9.7724 b=9.7724 c=9.2337 alpha=111.03 beta=111.03 gamma=77.34
Positions (direct):
1 Sr 0.0124 0.9876 0.7500
2 Sr 0.9876 0.0124 0.2500
3 Sn 0.2533 0.4809 0.0217
4 Sn 0.4809 0.2533 0.5217
5 Sn 0.5191 0.7467 0.4783
6 Sn 0.7467 0.5191 0.9783
7 H 0.0540 0.2413 0.6273
8 H 0.0662 0.3045 0.2367
9 H 0.1121 0.3330 0.4258
10 H 0.1140 0.7712 0.4456
11 H 0.2131 0.6741 0.7277
12 H 0.2288 0.8860 0.0544
13 H 0.2413 0.0540 0.1273
14 H 0.3045 0.0662 0.7367
15 H 0.3259 0.7869 0.7723
16 H 0.3330 0.1121 0.9258
17 H 0.6670 0.8879 0.0742
18 H 0.6741 0.2131 0.2277
19 H 0.6955 0.9338 0.2633
20 H 0.7587 0.9460 0.8727
21 H 0.7712 0.1140 0.9456
22 H 0.7869 0.3259 0.2723
23 H 0.8860 0.2288 0.5544
24 H 0.8879 0.6670 0.5742
25 H 0.9338 0.6955 0.7633
26 H 0.9460 0.7587 0.3727
27 Cl 0.0230 0.6840 0.0237
28 Cl 0.1762 0.4460 0.7002
29 Cl 0.3057 0.5840 0.3962
30 Cl 0.3160 0.9770 0.4763
31 Cl 0.4160 0.6943 0.1038
32 Cl 0.4460 0.1762 0.2002
33 Cl 0.5540 0.8238 0.7998
34 Cl 0.5840 0.3057 0.8962
35 Cl 0.6840 0.0230 0.5237
36 Cl 0.6943 0.4160 0.6038
37 Cl 0.8238 0.5540 0.2998
38 Cl 0.9770 0.3160 0.9763
39 O 0.0180 0.8322 0.4317
40 O 0.1034 0.2547 0.3212
41 O 0.1678 0.9820 0.0683
42 O 0.2212 0.7788 0.7500
43 O 0.2547 0.1034 0.8212
44 O 0.7453 0.8966 0.1788
45 O 0.7788 0.2212 0.2500
46 O 0.8322 0.0180 0.9317
47 O 0.8966 0.7453 0.6788
48 O 0.9820 0.1678 0.5683

Top 10 peaks for 2θ from 10° to 90°, in order of rising 2θ:
| 2theta | Rel. int. |
| --- | --- |
| 12.12 | 77 |
| 19.23 | 100 |
| 20.97 | 54 |
| 22.81 | 47 |
| 29.25 | 43 |
........

Here it is =
[1]
Diffraction record for SnH7Cl3O4. The X-ray diffraction stick pattern is simulated, not measured: it uses a cell relaxed with PBE and Cu Kα (weighted mean of Kα1 and Kα2).
Kinematic intensities with the Lorentz-polarization factor, no thermal factor.

Atomic structure:
Unit cell a=10.0918 b=6.4488 c=15.6200 alpha=90.00 beta=125.81 gamma=90.00
Positions (direct):
1 Sn 0.1709 0.0375 0.0044
2 Sn 0.1709 0.4625 0.5044
3 Sn 0.8291 0.5375 0.4956
4 Sn 0.8291 0.9625 0.9956
5 H 0.0977 0.7044 0.0866
6 H 0.0977 0.7956 0.5866
7 H 0.1184 0.0023 0.7099
8 H 0.1184 0.4977 0.2099
9 H 0.2518 0.2046 0.6745
10 H 0.2518 0.2954 0.1745
11 H 0.2745 0.6235 0.2445
12 H 0.2745 0.8765 0.7445
13 H 0.2998 0.5918 0.8426
14 H 0.2998 0.9082 0.3426
15 H 0.3169 0.0594 0.2215
16 H 0.3169 0.4406 0.7215
17 H 0.4756 0.6336 0.8740
18 H 0.4756 0.8664 0.3740
19 H 0.5244 0.1336 0.6260
20 H 0.5244 0.3664 0.1260
21 H 0.6831 0.5594 0.2785
22 H 0.6831 0.9406 0.7785
23 H 0.7002 0.0918 0.6574
24 H 0.7002 0.4082 0.1574
25 H 0.7255 0.1235 0.2555
26 H 0.7255 0.3765 0.7555
27 H 0.7482 0.7046 0.8255
28 H 0.7482 0.7954 0.3255
29 H 0.8816 0.5023 0.7901
30 H 0.8816 0.9977 0.2901
31 H 0.9023 0.2044 0.4134
32 H 0.9023 0.2956 0.9134
33 Cl 0.0382 0.5895 0.3249
34 Cl 0.0382 0.9105 0.8249
35 Cl 0.2646 0.1428 0.4739
36 Cl 0.2646 0.3572 0.9739
37 Cl 0.4150 0.6584 0.5792
38 Cl 0.4150 0.8416 0.0792
39 Cl 0.5850 0.1584 0.9208
40 Cl 0.5850 0.3416 0.4208
41 Cl 0.7354 0.6428 0.0261
42 Cl 0.7354 0.8572 0.5261
43 Cl 0.9618 0.0895 0.1751
44 Cl 0.9618 0.4105 0.6751
45 O 0.0437 0.6844 0.5312
46 O 0.0437 0.8156 0.0312
47 O 0.1911 0.5277 0.1888
48 O 0.1911 0.9723 0.6888
49 O 0.2909 0.1597 0.1644
50 O 0.2909 0.3403 0.6644
51 O 0.3596 0.6271 0.8129
52 O 0.3596 0.8729 0.3129
53 O 0.6404 0.1271 0.6871
54 O 0.6404 0.3729 0.1871
55 O 0.7091 0.6597 0.3356
56 O 0.7091 0.8403 0.8356
57 O 0.8089 0.0277 0.3112
58 O 0.8089 0.4723 0.8112
59 O 0.9563 0.1844 0.9688
60 O 0.9563 0.3156 0.4688

Top 10 peaks for 2θ from 10° to 90°, in order of rising 2θ:
| 2theta | Rel. int. |
| --- | --- |
| 10.81 | 30 |
| 11.63 | 22 |
| 13.98 | 68 |
| 15.42 | 100 |
| 16.33 | 28 |
| 17.63 | 18 |
| 23.41 | 21 |
| 25.21 | 18 |
| 30.03 | 29 |
| 34.07 | 21 |

[2]
Diffraction record for SrSn2H10Cl6O5. The X-ray diffraction stick pattern is simulated, not measured: it uses a cell relaxed with PBE and Cu Kα (weighted mean of Kα1 and Kα2).
Kinematic intensities with the Lorentz-polarization factor, no thermal factor.

Atomic structure:
Unit cell a=9.7724 b=9.7724 c=9.2337 alpha=111.03 beta=111.03 gamma=77.34
Positions (direct):
1 Sr 0.0124 0.9876 0.7500
2 Sr 0.9876 0.0124 0.2500
3 Sn 0.2533 0.4809 0.0217
4 Sn 0.4809 0.2533 0.5217
5 Sn 0.5191 0.7467 0.4783
6 Sn 0.7467 0.5191 0.9783
7 H 0.0540 0.2413 0.6273
8 H 0.0662 0.3045 0.2367
9 H 0.1121 0.3330 0.4258
10 H 0.1140 0.7712 0.4456
11 H 0.2131 0.6741 0.7277
12 H 0.2288 0.8860 0.0544
13 H 0.2413 0.0540 0.1273
14 H 0.3045 0.0662 0.7367
15 H 0.3259 0.7869 0.7723
16 H 0.3330 0.1121 0.9258
17 H 0.6670 0.8879 0.0742
18 H 0.6741 0.2131 0.2277
19 H 0.6955 0.9338 0.2633
20 H 0.7587 0.9460 0.8727
21 H 0.7712 0.1140 0.9456
22 H 0.7869 0.3259 0.2723
23 H 0.8860 0.2288 0.5544
24 H 0.8879 0.6670 0.5742
25 H 0.9338 0.6955 0.7633
26 H 0.9460 0.7587 0.3727
27 Cl 0.0230 0.6840 0.0237
28 Cl 0.1762 0.4460 0.7002
29 Cl 0.3057 0.5840 0.3962
30 Cl 0.3160 0.9770 0.4763
31 Cl 0.4160 0.6943 0.1038
32 Cl 0.4460 0.1762 0.2002
33 Cl 0.5540 0.8238 0.7998
34 Cl 0.5840 0.3057 0.8962
35 Cl 0.6840 0.0230 0.5237
36 Cl 0.6943 0.4160 0.6038
37 Cl 0.8238 0.5540 0.2998
38 Cl 0.9770 0.3160 0.9763
39 O 0.0180 0.8322 0.4317
40 O 0.1034 0.2547 0.3212
41 O 0.1678 0.9820 0.0683
42 O 0.2212 0.7788 0.7500
43 O 0.2547 0.1034 0.8212
44 O 0.7453 0.8966 0.1788
45 O 0.7788 0.2212 0.2500
46 O 0.8322 0.0180 0.9317
47 O 0.8966 0.7453 0.6788
48 O 0.9820 0.1678 0.5683

Top 10 peaks for 2θ from 10° to 90°, in order of rising 2θ:
| 2theta | Rel. int. |
| --- | --- |
| 12.12 | 77 |
| 19.23 | 100 |
| 20.97 | 54 |
| 22.81 | 47 |
| 29.25 | 43 |